Well Erie, here we are …. finally, “green.” We’ve crossed the threshold into the next chapter of our story, and who doesn’t love a good story?
Given the history here, we have plenty of good stories, some have better endings than others. How we navigate this next chapter might determine how our story ends. A worldwide pandemic has set a path toward economic ruin and, has disrupted much of society. Anarchists are rioting and creating chaos on the backs of peaceful protests, all but obscuring a just cause. But that’s not the end of the story. We can’t change history but we can learn from it and change the trajectory history has put us on.
Does America have a history of turning to God in times of trouble? Yes, we do!
George Washington had a flag made to encourage the troops during the American Revolution. He called this flag an Appeal to Heaven. It first flew over the 13 colonies proclaiming our fledgling nation’s dependence on God. If ever there was a time to call out again to God for our nation, it is now!
Washington knew that winning American independence from imperial rule would require the colonist’s complete dependence on God for guidance. He also knew victory would require divine stamina and an undying will to persevere. Sounds like what Erie and America needs today. The flag was designed with an evergreen tree to remind the colonists that their reliance was with an Everlasting God.
Today, people all over Erie and America are proclaiming faith in Jesus Christ. Communities are positioned to rise up and demonstrate the goodness of God. The Bible tells us our words and actions set divine forces in motion that cause God’s Kingdom to come and His will to be done, on earth (in Erie) as it is in heaven (Matthew 6:10). One of my favorite sayings is, you’ll find what you’re looking for. It’s like Moses said, “If you will seek the Lord your God, you will find Him if you search for Him with all your heart and all your soul” (Deuteronomy 4:29). Words and actions that are rooted in faith in God put one on a path to see His glory and I want to see His glory, His goodness.
Digging further back in history, I was hoping to find stories of God’s goodness and was intrigued to learn of local Native Americans who actually lived out words and actions rooted in faith. You may have heard of the Iroquois Nation or Five Nations. The story behind how these tribal enemies, came together hundreds of years ago to form a league of nations is compelling. They were the first to develop a democratic government with a constitution upholding rights for all those joining the league and abiding by the constitution. Point of interest: this early Native American language group called themselves – People of the Long House or Haudenosaunee (pronounced – ho dee noe sho nee). The French called them Iroquois. The British called them Five Nations.
Haudenosaunee history teaches that centuries ago, ancestors in what is now the state of New York were enmeshed in continuous inter-tribal conflicts. The cost of war was high and had weakened their societies. An Huron Indian brave called Deganawide or The Peacemaker received a strategy for peace through a series of divine inspirations. He had an encounter with the Mohawk Chief Hiawatha, a good orator who was ready for peace. Hiawatha regretted his lifetime of war and the terrible loss of his family. Together the pair traveled to the tribal nations who were most closely related by clan, and shared their ideas for peace. Some versions of the story claim a woman, Jigonsaseh, joined them in the quest. The nations, listed from west to east, are the Seneca, Cayugas, Onondaga, Oneida, and Mohawk. A sixth tribe, the Tuscaroras, joined in 1722.
The plan for peace was laid out using symbols. The use of symbols is a great tool to keep accuracy when history is passed orally from generation to generation. A White Pine Tree was chosen as the symbol for the original constitution. Partly because it’s needles grow in clusters of five. And also, because it has broad branches that provide shelter. An Eagle holding a cluster of five arrows represented the messenger. Its function was to alert tribal members of oncoming danger. Four White Roots at the base are symbolic of the four compass points, north, south, east and west. Showing that other nations could find their way to the Tree of Peace. This image of the tree is from Onondaga Chief Oren Lyons’ artwork.
Someone pasted materials data at this point >
┌──
Below is GdTlW2O8 after structural relaxation, with properties calculated at the PBE+U level.

Calculated values
As for the density: 8.33 Mg/m³. The value obtained for the uncorrected energy is -194.9 eV/cell. The value obtained for the density of states at the Fermi level is 0.0 states/eV per cell.

Lattice parameters (Å, degrees): 7.734 7.734 7.510 62.37 62.37 88.64
Each line ends with the local moment (μB).
Positions (direct):
1 Gd 0.776 0.224 0.750  6.93
2 Gd 0.224 0.776 0.250  6.93
3 Tl 0.213 0.787 0.750  0.00
4 Tl 0.787 0.213 0.250  0.00
5 W 0.699 0.690 0.785  0.01
6 W 0.301 0.310 0.215  0.01
7 W 0.310 0.301 0.715  0.01
8 W 0.690 0.699 0.285  0.01
9 O 0.624 0.750 0.559  0.00
10 O 0.376 0.250 0.441  0.00
11 O 0.250 0.376 0.941  0.00
12 O 0.750 0.624 0.059  0.00
13 O 0.366 0.061 0.874  0.00
14 O 0.634 0.939 0.126  0.00
15 O 0.939 0.634 0.626  0.00
16 O 0.061 0.366 0.374  0.00
17 O 0.591 0.374 0.966  0.00
18 O 0.409 0.626 0.034  0.00
19 O 0.626 0.409 0.534  0.00
20 O 0.374 0.591 0.466  0.00
21 O 0.772 0.954 0.694  0.00
22 O 0.228 0.046 0.306  0.00
23 O 0.046 0.228 0.806  0.00
24 O 0.954 0.772 0.194  0.00


Entry 1:
# ThSeN | the Alexandria database | PBE-GGA | relaxed
# density of states at the Fermi level	3.143	states/eV/f.u.
# energy above the lowest structure with this stoichiometry	1.01	eV per formula unit
# E_form (uncorrected)	-1222	meV per atom
data_ThSeN
_symmetry_space_group_name_H-M 'P -6 m 2'
_symmetry_Int_Tables_number 187
_symmetry_space_group_name_Hall 'P -6 2'
_cell_length_a 4.0171
_cell_length_b 4.0171
_cell_length_c 4.4556
_cell_angle_alpha 90.00
_cell_angle_beta 90.00
_cell_angle_gamma 120.00
loop_
_atom_site_label
_atom_site_type_symbol
_atom_site_fract_x
_atom_site_fract_y
_atom_site_fract_z
Th1 Th 0.0000 0.0000 0.0000
Se1 Se 0.6667 0.3333 0.5000
N1 N 0.3333 0.6667 0.0000


Entry 2:
# ThSeN | the Alexandria database | PBE-GGA | relaxed
# density of states at the Fermi level	3.208	states/eV/f.u.
# energy above the lowest structure with this stoichiometry	0.84	eV per formula unit
# E_form (uncorrected)	-1277	meV per atom
data_ThSeN
_symmetry_space_group_name_H-M 'R -3 m'
_symmetry_Int_Tables_number 166
_symmetry_space_group_name_Hall '-R 3 2"'
_cell_length_a 4.0692
_cell_length_b 4.0692
_cell_length_c 27.7428
_cell_angle_alpha 90.00
_cell_angle_beta 90.00
_cell_angle_gamma 120.00
loop_
_atom_site_label
_atom_site_type_symbol
_atom_site_fract_x
_atom_site_fract_y
_atom_site_fract_z
Th1 Th 0.0000 0.0000 0.1136
Se1 Se 0.0000 0.0000 0.3739
N1 N 0.0000 0.0000 0.1988
└──
After years of travel and persuasion, four of the five chiefs agreed to peace. The last holdout was Chief Tadodaho of the Onondaga. A cruel warrior with a twisted mind and body, he was merciless even to his own people, and would not give up the evil ideas slithering in his thinking. But the Great Law of Peace would only work if all five tribes agreed and contributed their voice. Some accounts say it was the woman, Jigonsaseh who was able to calm the cruel chief’s mind. In their words she, “combed out the tangles of deception from his head.”
Stories of deception and tangled thinking are as old as time. There is a sticky note above my desk with a quote from the Greek diplomat, Demosthenes. He said, “Nothing is easier than self-deceit, for what each man wishes, that he also believes to be true.” Even David recorded Moses’ prayer to God about deception in Psalm 90:4, saying, “Our secret sins, which we tried to conceal, you have placed in the revealing light of Your presence.” The prophet Isaiah described this long ago, “They say that what is right is wrong and what is wrong is right; that black is white and white is black; bitter is sweet and sweet is bitter. Woe to those who are wise and shrewd in their own eyes (Isaiah 5:19-21). I guess the problem with deceit is, it’s so …. deceiving!
With the five tribes finally on board, it was time to formalize the “Great League of Peace”. 50 tribal representatives joined together at Lake Onondaga. Some historians say it was under a full eclipse of the sun, thus putting the ceremony either in the year 1142 or 1451. The new constitution was based on democratic principles of; respect for all persons, clearly delineated tribal roles in the conduct of government, and gender balance of representation in government. This oldest, living, participatory democracy on earth was acknowledged and celebrated in 1987, by the United States Senate at the 200th anniversary of the U.S. Constitution.
Shown below is a beaded belt, called Wampum, crafted at the formation of the league to symbolize the new union. In it, all five nations are connected by a line of white beads symbolizing peace. The Onondaga are represented in the center by a pine tree.
Tribal representatives stood in a circle around the evergreen tree, demonstrating that if they kept their circle united, they would always be able to keep the Tree of Peace standing. To seal the covenant, they buried tomahawks and weapons of war under the tree. This covenantal ceremony is thought to be the origin of the saying, “bury the hatchet.” But burying their weapons of war did not mean they would no longer fight. It didn’t mean they thought they were creating some kind of Utopian society where they would sit around a campfire singing kumbaya songs! History tells us the Five Nations continued to war. Rather, it meant they would not war against each other. As constitutional brothers, they would stand shoulder to shoulder with each other around the tree of peace. Other nations would be invited to learn from this way of living. “This is what the Lord says: ‘Stand at the crossroads and look; ask for the ancient paths, ask where the good way is, and walk in it!’” (Jeremiah 6:16).
And we can learn something from them even now. In these past fourteen weeks of Covid-19 mitigations, haven’t we learned that we are better together? To succeed and build community, we need to stand shoulder to shoulder looking out for each other. Let’s battle beside each other, not against each other. Today’s conflicts aren’t fought with hatchets, they’re fought with words and faith. “Your hand-to-hand combat is not with human beings, but with the highest principalities and authorities operating in rebellion under the heavenly realms. For they are a powerful class of demon-gods and evil spirits that hold this dark world in bondage” (Ephesians 6:12 The Passion Bible). It’s easy for our thoughts to get tangled up in today’s contradictory messaging. As we allow the tangles of deception to be combed from our minds, and our thinking transformed by the word of God, we will see… and reflect His goodness.